(Activity)
Could you write out the lines further down up to the one that holds "1.501", that line included?

(Excerpt)
____________
# 1
This record from the Open Molecules 2025 dataset describes a 8-piece molecular cluster, C4H23BrNO7 overall. The level of theory is the ωB97M-V functional and the def2-TZVPD basis.

Results
**Energy relative to the best compared isomer or geometry (same formula, charge and spin)**: 0.000 eV
**HOMO**: -0.2343 Eh
**Total charge**: -1
**Total energy**: -90389.63363 eV

Each line ends with the Löwdin charge.
Atoms and positions in Å:
Br 2.856 -23.973 -9.910  0.2539
C 2.974 -28.022 -9.274  -0.0462
C 2.103 -27.870 -10.517  -0.4436
C 1.424 -29.154 -10.955  -0.2118
O 2.260 -30.193 -11.454  -0.1944
C 3.080 -29.782 -12.536  -0.1191
N 1.002 -26.876 -10.256  0.0179
H 2.385 -28.374 -8.428  0.0807
H 3.402 -27.058 -9.011  0.0479
H 3.717 -28.778 -9.545  0.0749
H 2.624 -27.391 -11.351  0.1050
H 0.648 -28.944 -11.708  0.1203
H 0.905 -29.635 -10.120  0.1286
H 3.884 -29.094 -12.265  0.0799
H 2.487 -29.258 -13.296  0.0877
H 3.463 -30.718 -12.937  0.0835
H 0.473 -26.868 -11.129  0.0533
H 1.451 -25.951 -10.260  -0.0780
O 1.946 -25.346 -12.995  -0.0888
H 2.512 -25.559 -13.745  0.0348
H 2.560 -25.190 -12.254  -0.0640
O 3.326 -22.082 -12.685  -0.1216
H 3.998 -21.460 -12.393  0.0202
H 3.213 -22.686 -11.923  -0.1154
O 1.569 -25.458 -6.849  -0.0934
H 0.668 -25.783 -6.944  0.0253
H 1.775 -25.078 -7.718  -0.0590
O 1.644 -21.850 -7.715  -0.1337
H 1.999 -22.431 -8.427  -0.1337
H 0.816 -22.267 -7.459  0.0127
O 5.801 -24.488 -11.649  -0.0914
H 5.643 -24.283 -10.719  -0.0160
H 5.022 -24.988 -11.907  -0.0065
O 5.306 -24.344 -7.726  -0.1205
H 4.831 -23.959 -8.488  -0.1007
H 5.048 -25.271 -7.735  0.0113


# 2
This record from the Open Molecules 2025 dataset describes an isolated ion of composition C5H9N2 and charge +1. The level of theory is the ωB97M-V functional and the def2-TZVPD basis.

Results
**Energy relative to the best compared isomer or geometry (same formula, charge and spin)**: 3.470 eV
**HOMO**: -0.5477 Eh
**SMILES string**: C=NC[N+]#CCC
**Total charge**: +1
**Total energy**: -8302.26262 eV

Each line ends with the Löwdin charge.
Atoms and positions in Å:
C 2.986 1.210 0.120  0.0742
C -0.650 -0.544 0.331  -0.0165
C -2.863 0.128 -0.485  -0.0587
C -1.914 -0.039 0.711  -0.1802
C 2.114 -1.013 -0.335  -0.1067
N 0.422 -0.811 -0.005  0.2550
N 2.900 0.009 -0.191  0.0029
H 3.964 1.675 0.093  0.0997
H -3.732 0.697 -0.168  0.0891
H -3.197 -0.841 -0.847  0.0890
H -2.383 0.660 -1.303  0.0875
H -1.722 0.936 1.178  0.1459
H -2.360 -0.694 1.466  0.1440
H 2.008 -1.370 -1.359  0.1382
H 2.290 -1.821 0.376  0.1398
H 2.139 1.820 0.419  0.0967


# 3
This record from the Open Molecules 2025 dataset describes a 2-piece molecular cluster, H4I2Si2 overall. The level of theory is the ωB97M-V functional and the def2-TZVPD basis.

Results
**Energy relative to the best compared isomer or geometry (same formula, charge and spin)**: 2.098 eV
**HOMO**: -0.2934 Eh
**Total energy**: -32020.31479 eV

Each line ends with the Löwdin charge.
Atoms and positions in Å:
Si -1.066 -0.131 1.501  0.2584
Si 1.238 -0.792 -2.013  -0.0231
I -1.117 1.258 -0.586  0.2912
I 3.087 0.369 -0.983  0.1737
H 0.323 -0.545 1.157  -0.1397
H -2.312 -0.816 1.555  -0.1226
H -0.847 0.758 2.531  -0.1590
H 0.695 -0.101 -3.160  -0.2788


# 4
This record from the Open Molecules 2025 dataset describes C16H20FNO2S as an isolated structure. The level of theory is the ωB97M-V functional and the def2-TZVPD basis.

Results
**HOMO**: -0.3254 Eh
**Total energy**: -36041.40792 eV

Each line ends with the Löwdin charge.
Atoms and positions in Å:
O -0.115 -0.173 2.343  -0.3429
S -0.861 0.052 1.039  0.7262
O -1.871 -1.000 0.681  -0.3567
N 0.378 0.235 -0.179  -0.0781
H -0.053 0.782 -1.129  0.1910
C 1.259 -0.943 -0.734  -0.4816
C 2.653 -0.382 -1.371  0.0004
H 2.932 0.049 -0.682  -0.0186
C 3.202 -1.708 -1.942  -0.2970
C 2.405 -2.339 -2.943  -0.0794
C 1.126 -3.067 -2.106  -0.2715
C 1.475 -4.013 -1.115  -0.1023
C 2.320 -2.991 -0.269  -0.3135
C 3.608 -2.570 -0.641  -0.1439
H 4.147 -2.049 -0.095  0.0297
H 4.364 -3.376 -1.078  0.1706
____________

(Completed)
# 1
This record from the Open Molecules 2025 dataset describes a 8-piece molecular cluster, C4H23BrNO7 overall. The level of theory is the ωB97M-V functional and the def2-TZVPD basis.

Results
**Energy relative to the best compared isomer or geometry (same formula, charge and spin)**: 0.000 eV
**HOMO**: -0.2343 Eh
**Total charge**: -1
**Total energy**: -90389.63363 eV

Each line ends with the Löwdin charge.
Atoms and positions in Å:
Br 2.856 -23.973 -9.910  0.2539
C 2.974 -28.022 -9.274  -0.0462
C 2.103 -27.870 -10.517  -0.4436
C 1.424 -29.154 -10.955  -0.2118
O 2.260 -30.193 -11.454  -0.1944
C 3.080 -29.782 -12.536  -0.1191
N 1.002 -26.876 -10.256  0.0179
H 2.385 -28.374 -8.428  0.0807
H 3.402 -27.058 -9.011  0.0479
H 3.717 -28.778 -9.545  0.0749
H 2.624 -27.391 -11.351  0.1050
H 0.648 -28.944 -11.708  0.1203
H 0.905 -29.635 -10.120  0.1286
H 3.884 -29.094 -12.265  0.0799
H 2.487 -29.258 -13.296  0.0877
H 3.463 -30.718 -12.937  0.0835
H 0.473 -26.868 -11.129  0.0533
H 1.451 -25.951 -10.260  -0.0780
O 1.946 -25.346 -12.995  -0.0888
H 2.512 -25.559 -13.745  0.0348
H 2.560 -25.190 -12.254  -0.0640
O 3.326 -22.082 -12.685  -0.1216
H 3.998 -21.460 -12.393  0.0202
H 3.213 -22.686 -11.923  -0.1154
O 1.569 -25.458 -6.849  -0.0934
H 0.668 -25.783 -6.944  0.0253
H 1.775 -25.078 -7.718  -0.0590
O 1.644 -21.850 -7.715  -0.1337
H 1.999 -22.431 -8.427  -0.1337
H 0.816 -22.267 -7.459  0.0127
O 5.801 -24.488 -11.649  -0.0914
H 5.643 -24.283 -10.719  -0.0160
H 5.022 -24.988 -11.907  -0.0065
O 5.306 -24.344 -7.726  -0.1205
H 4.831 -23.959 -8.488  -0.1007
H 5.048 -25.271 -7.735  0.0113


# 2
This record from the Open Molecules 2025 dataset describes an isolated ion of composition C5H9N2 and charge +1. The level of theory is the ωB97M-V functional and the def2-TZVPD basis.

Results
**Energy relative to the best compared isomer or geometry (same formula, charge and spin)**: 3.470 eV
**HOMO**: -0.5477 Eh
**SMILES string**: C=NC[N+]#CCC
**Total charge**: +1
**Total energy**: -8302.26262 eV

Each line ends with the Löwdin charge.
Atoms and positions in Å:
C 2.986 1.210 0.120  0.0742
C -0.650 -0.544 0.331  -0.0165
C -2.863 0.128 -0.485  -0.0587
C -1.914 -0.039 0.711  -0.1802
C 2.114 -1.013 -0.335  -0.1067
N 0.422 -0.811 -0.005  0.2550
N 2.900 0.009 -0.191  0.0029
H 3.964 1.675 0.093  0.0997
H -3.732 0.697 -0.168  0.0891
H -3.197 -0.841 -0.847  0.0890
H -2.383 0.660 -1.303  0.0875
H -1.722 0.936 1.178  0.1459
H -2.360 -0.694 1.466  0.1440
H 2.008 -1.370 -1.359  0.1382
H 2.290 -1.821 0.376  0.1398
H 2.139 1.820 0.419  0.0967


# 3
This record from the Open Molecules 2025 dataset describes a 2-piece molecular cluster, H4I2Si2 overall. The level of theory is the ωB97M-V functional and the def2-TZVPD basis.

Results
**Energy relative to the best compared isomer or geometry (same formula, charge and spin)**: 2.098 eV
**HOMO**: -0.2934 Eh
**Total energy**: -32020.31479 eV

Each line ends with the Löwdin charge.
Atoms and positions in Å:
Si -1.066 -0.131 1.501  0.2584